Thursday, October 08, 2009

AL Post 136 Newsletter - October 2009

American Legion Family:

Post 136 Scholarship- We have completed work on the requirements for the new Paul Stewart Irwin Post 136 Scholarship. Rather than repeat the requirements again which were listed in the last newsletter, I have attached the completed document. If you have a child, grandchild, etc., that is a senior this year; they are eligible for this $1,000 scholarship. Print out the form, (will also make copies that will be up at the post), and have them apply. We want more than anything to give some money to a deserving student for their college.

National Commander, Clarence Hill to visit Kansas- Our new National Commander will be traveling the state in two weeks. He will be making a few stops in the 5th District and if you have the opportunity to attend one of his stops, it will be well worth your while. Following is his schedule within the 5th Dist. Please call ahead if you want to attend.

Monday, Oct. 19 - Post 24, McPherson. Dinner-6:30-8:00pm. 620-241-0343
Tues. Oct 20 - Post 2, Newton. Breakfast-7:30-9:00 am. 316-283-2233
“ “ - Post 10, Winfield Lunch-11:30-1pm 620-221-4950
“ “ - Post 273, Wichita Reception-2-2:45pm 316-264-3752

Special Guests at the Meeting:

1) We were honored to welcome home from his 5th (and last) Iraqi deployment, our own SSGT Dan Morgan. He must have really missed us too because not only did he come to the 1st meeting only two days after returning, but Dan also stepped up to join the Post Executive Board since an opening just came up. Guess after five tours, this will be a snoozer and we are so glad to have him back safe and with us again.

2) Evin Ogburn is a student from North HS that was the recipient of our post’s sponsorship to the American Legion Boy’s State last spring. He came by to talk to us about his experience and gave us all a chance to see the future in our youth.

Community Support: Membership voted to donate $500 to the Mulvane EMS/Police for their Toys for Kids program. Last weekend they held a poker run which was supported by the Post 136 Legion Riders. Over $2000 was raised (including our $500) and lots of toys.

Another $500 was voted on to donate to the McConnell AFB Enlisted Spouses Club. This is a program where the offset food costs to E-4’s and below during the holidays. This program was a huge success last year and we are proud to take part.

Halloween is coming up and we will be having our annual Halloween party on Sat. Oct. 31 kicking off around 8:00pm. If you are not into getting dressed up, this is a good time to reconsider. This party is a blast. We have cash prizes, and a few surprises. All we ask is you bring a party dish to share so we have plenty of food to carry us through the evening.

Dept. Vice Commander John Thomas will be holding his homecoming on Oct. 17 at the Eisenhower Library in Abilene, Ks. A short program will begin at 12:30 and lunch at 1:00. Details are in the latest Sunflower.

What comes next are quantum chemistry results, not part of the text:
=====
13
Properties=species:S:1:pos:R:3:lowdin_spin:R:1 method="wB97M-V/def2-TZVPD" e_tot_ev=-17590.199 e_above_lowest_kcal_mol=80.73 fmax_ev_per_a=6.51 multiplicity=3 molar_mass_g_mol=105.2 charge=0
C 1.221 -1.722 -0.942 0.048
C -0.824 0.252 0.857 0.041
C -0.628 0.073 -0.599 0.175
N 1.112 -0.411 -0.676 0.312
O 0.356 -2.478 -1.316 0.088
S 2.184 0.224 0.380 1.187
H 2.145 -2.092 -0.585 0.009
H -1.923 0.097 1.054 0.010
H -0.407 -0.553 1.442 0.005
H -0.598 1.287 1.095 0.008
H -1.209 -0.743 -0.865 0.011
H -0.699 1.074 -1.101 0.007
H 2.842 1.121 -0.353 0.100

----------

Record 1
{
  "formula": "C3H6N2O2S",
  "method": "ωB97M-V with the def2-TZVPD basis set",
  "species": ["C", "N", "O", "C", "S", "N", "C", "O", "H", "H", "H", "H", "H", "H"],
  "coordinates": [[3.07916, -0.25466, -0.12491], [1.89445, -0.04714, -0.48610], [0.94717, -0.46823, 0.50081], [-0.35391, -0.34927, 0.20904], [-1.26984, -1.69524, -0.05133], [-0.81015, 0.88747, 0.09575], [0.02110, 2.08751, 0.17688], [-2.10278, 1.16729, -0.31086], [3.75766, -0.02656, -0.92129], [3.38174, -0.71182, 0.91745], [0.54136, 2.28552, -0.85692], [0.89424, 1.91879, 0.75944], [-0.51083, 2.95569, 0.61123], [-2.56998, 0.32610, -0.04194]],
  "atomic_forces_ev_per_a": [[0.1, -1.2, 2.2], [-1.4, 0.0, -0.1], [1.9, 0.0, 1.0], [-1.0, -0.2, -1.4], [-0.4, 0.0, 0.3], [0.9, 1.5, 0.4], [0.7, 0.6, -2.2], [0.0, -1.2, 0.6], [0.7, 0.1, 0.1], [-0.6, 0.9, -2.2], [-1.6, 0.1, 1.6], [0.4, -0.5, 0.9], [0.0, -0.7, -0.6], [0.2, 0.6, -0.5]],
  "e_above_lowest_kj_mol": 530.2,
  "homo_ev": -8.589,
  "smiles": "C=NOC(=S)N(C)O",
  "largest_force_ev_per_a": 2.50,
  "lumo_energy_ev": 0.72
}

=====

Record 2
{
  "formula": "C9H16BBr12FI",
  "method": "ωB97M-V with the def2-TZVPD basis set",
  "species": ["C", "C", "I", "C", "B", "C", "C", "F", "H", "H", "H", "H", "H", "H", "H", "H", "H", "H", "H", "H", "C", "Br", "Br", "Br", "H", "C", "Br", "Br", "Br", "H", "C", "Br", "Br", "Br", "H", "C", "Br", "Br", "Br", "H"],
=====

Veterans Day ceremonies will be once again held at the post. We will have our flag retirement ceremony followed by dinner and our annual American Legion initiation for all new members that have joined but have never been formally initiated. The Ladies Auxiliary will be providing the meal and will have a short program.

Recognition Banquet for all Veterans will be held at the Good Shepherd Lutheran Church, 1451 E. 47th St. South, Wichita, on Sunday, Nov. 8 at 6pm. Guest speaker will be Chaplain (Col) David Fulton, and Pastor Maynard Peterson, Chaplain at Robert J. Dole VA.
The banquet is free for all veterans. Please RSVP: 316-524-3401 by Nov. 5.

Post 136 ALR reported 1720 volunteer hours in the month of Sept and has documented over 8000 hours year to date. Amazing!

Friday nights at the Post: If you have not come out to the Post for dinner on Friday nights, I am requesting you reconsider. We have gone back to the fall menu and are now cutting our own steaks. Hopefully the day of the thin steak that’s hard to cook to order, are behind us. The dinner and breakfast we serve is a service to the post. They are not meant to be moneymakers, but the losses must be controlled. We have a dedicated staff that is always trying to improve, but we need your support. Now that summer is over I ask you come out and support us on Friday night and Sunday breakfast. The prices are reasonable and the quality is improved. It’s your post. Support it.

Finally: This past month, we had a number of Post sponsored events. ALVA Tour, Early Bird Dinner, Veterans Appreciation Day. This does not happen in a vacuum. It takes a lot of people, time, leadership and mostly, dedication to the cause of supporting veterans and the American Legion programs. To all who step up over and over, and to those that go above and beyond for no other reason than love of the post, thank you. We have an amazing membership and would love to see more involved. We need the ideas and energy.


SAL meeting-Oct 11 1:30pm
ALR meeting-Oct 11 3pm
BOG meeting-Oct 22 6pm
E-Board meeting-Oct 29 7pm
General meeting and Auxiliary meeting-Nov 2 7pm
